_Source_
+++
This entry pairs a crystal structure of DyTl2V3F12 with its computed X-ray powder pattern. Radiation: Cu Kα, 1.54184 Å. Structure: a crystal structure in Alexandria, relaxed with PBE+U.

Main lines, in order of rising 2θ (2θ = 10–80°):
- 5.467 Å, intensity 66
- 3.810 Å, intensity 79
- 3.360 Å, intensity 100
- 3.288 Å, intensity 47
- 3.254 Å, intensity 32
- 3.126 Å, intensity 52
- 2.520 Å, intensity 34
- 2.102 Å, intensity 41
- 1.905 Å, intensity 42
- 1.657 Å, intensity 29

Crystal structure
Cell lengths 7.8542, 7.8542, 7.8542 Å; angles 58.04, 58.04, 58.04 degrees
Element x y z (fractional)
Dy  0.0000  0.0000  0.0000
Tl  0.4077  0.4077  0.4077
Tl  0.5923  0.5923  0.5923
V  0.0000  0.0000  0.5000
V  0.0000  0.5000  0.0000
V  0.5000  0.0000  0.0000
F  0.0742  0.0742  0.6634
F  0.0742  0.6634  0.0742
F  0.0898  0.6818  0.6818
F  0.3182  0.3182  0.9102
F  0.3182  0.9102  0.3182
F  0.3366  0.9258  0.9258
F  0.6634  0.0742  0.0742
F  0.6818  0.0898  0.6818
F  0.6818  0.6818  0.0898
F  0.9102  0.3182  0.3182
F  0.9258  0.3366  0.9258
F  0.9258  0.9258  0.3366

=====

This entry pairs a crystal structure of SmZn5Ag7 with its computed PXRD pattern. Radiation: Cu Kα X-rays. Structure: the PBE geometry in Alexandria.
Neutral-atom scattering factors, no anomalous dispersion.

Cell and atoms:
Unit cell a=7.0958 b=7.0958 c=5.2534 alpha=111.12 beta=111.12 gamma=82.16
Fractional positions:
Sm1 0.0000 0.0000 0.0000
Zn1 0.4967 0.9936 0.4950
Zn2 0.4975 0.9936 0.9963
Zn3 0.7773 0.7773 0.2788
Zn4 0.9936 0.4967 0.4950
Zn5 0.9936 0.4975 0.9963
Ag1 0.2017 0.7853 0.4947
Ag2 0.2175 0.2175 0.7160
Ag3 0.3451 0.6508 0.9989
Ag4 0.3498 0.3498 0.3458
Ag5 0.6508 0.3451 0.9989
Ag6 0.6560 0.6560 0.6594
Ag7 0.7853 0.2017 0.4947

The 10 most intense peaks (2θ from 10° to 90°), by intensity:
2theta, d [Å], I_rel
38.85, 2.318, 1000
38.61, 2.332, 958
33.51, 2.675, 896
38.32, 2.349, 519
34.14, 2.626, 514
38.44, 2.342, 487
39.37, 2.288, 435
43.78, 2.068, 427
44.25, 2.047, 393
70.41, 1.337, 346
+++

_Job_
What is needed: find "Ag4 0.3498" and "514" in the data above, and set down these two lines and those between.

_Reply_
Ag4 0.3498 0.3498 0.3458
Ag5 0.6508 0.3451 0.9989
Ag6 0.6560 0.6560 0.6594
Ag7 0.7853 0.2017 0.4947

The 10 most intense peaks (2θ from 10° to 90°), by intensity:
2theta, d [Å], I_rel
38.85, 2.318, 1000
38.61, 2.332, 958
33.51, 2.675, 896
38.32, 2.349, 519
34.14, 2.626, 514